== File ==
+++
The following is a DFT calculation (wB97M-V/def2-TZVPD) of 2 unconnected molecules or ions with the total composition C2H8N2 at a distorted geometry.

```
! RIJCOSX wB97M-V def2-TZVPD def2/J DEFGRID3
* xyz 0 1
C 1.5385 -3.4157 0.3492
N 1.6394 -4.0710 -0.7421
H 0.7378 -2.6741 0.2508
H 2.3471 -3.3944 1.0940
H 2.2063 -4.9089 -0.5714
C -1.1594 3.2742 0.7998
N -1.6261 3.3479 -0.6510
H -1.9399 3.3144 1.5535
H -0.3223 3.8800 1.1224
H -0.8621 2.2044 0.8434
H -2.5411 2.8998 -0.5201
H -2.0531 4.2882 -0.6446
*
```

Summary:
Kohn-Sham gap: 10.984 eV
F_max: 0.063 hartree/bohr

----------

ORCA calculation (ωB97M-V/def2-TZVPD) on one molecule with the formula C5H8O.

Properties
**ΔE to the lowest compared entry with this formula, charge and spin**: 2.4423 eV
**Energy**: -270.4681 a.u.
**Net charge**: 0
**Highest occupied orbital energy**: -9.91 eV
**Frontier orbital gap**: 10.9 eV
**Structure (SMILES)**: C#C[C@@H](C)CO

Atoms and positions in Å:
C: -0.150 -2.353 -0.849
C: -0.250 -1.244 -0.391
C: -0.127 0.217 -0.297
C: -1.418 0.979 0.005
C: 1.063 0.649 0.590
O: 2.116 -0.282 0.627
H: 0.007 -3.241 -1.413
H: 0.146 0.447 -1.332
H: -1.656 1.007 1.074
H: -2.262 0.524 -0.522
H: -1.314 2.009 -0.349
H: 1.484 1.560 0.156
H: 0.710 0.894 1.604
H: 1.747 -1.129 0.915

***

ORCA calculation (ωB97M-V/def2-TZVPD) on one molecule with the formula C2H5NO4.

Properties
**ΔE to the lowest compared entry with this formula, charge and spin**: 4.7990 eV
**Energy**: -434.8178 a.u.
**Net charge**: 0
**Highest occupied orbital energy**: -10.85 eV
**Frontier orbital gap**: 11.1 eV
**Structure (SMILES)**: CC(O)(O)[N+](=O)[O-]

Atoms and positions in Å:
C: 0.167 -0.620 -0.055
C: -0.988 0.334 0.325
O: -1.288 1.272 -0.525
O: -0.792 0.960 1.574
N: -2.208 -0.689 0.515
O: -2.156 -1.396 1.438
O: -3.106 -0.594 -0.314
H: 1.105 -0.041 -0.218
H: 0.454 -1.278 0.707
H: 0.109 -1.308 -0.913
H: -2.111 0.903 -1.066
H: -0.522 0.277 2.240

***

ORCA calculation (ωB97M-V/def2-TZVPD) on one molecule with the formula C29H37N5O5S2.

Properties
**ΔE to the lowest compared entry with this formula, charge and spin**: 0.1859 eV
**Energy**: -2573.6900 a.u.
**Net charge**: 0
**Highest occupied orbital energy**: -8.19 eV
**Frontier orbital gap**: 8.4 eV
**Structure (SMILES)**: COCCNC(=O)C1=C(N)[C@@H](C(=O)Nc2ccc(C)c(S(=O)(=O)N3CCCCC3)c2)S/C1=N\c1ccc(C)cc1C

Atoms and positions in Å:
C: 6.639 1.281 -2.128
O: 6.850 2.667 -2.265
C: 6.095 3.474 -1.394
C: 4.586 3.475 -1.687
N: 3.873 2.511 -0.885
C: 2.739 2.804 -0.232
O: 2.193 3.907 -0.292
C: 2.154 1.697 0.550
C: 0.942 1.854 1.180
N: 0.248 2.984 1.230
C: 0.401 0.627 1.865
C: -0.992 0.327 1.281
O: -1.878 1.142 1.447
N: -1.076 -0.827 0.599
C: -2.187 -1.388 -0.041
C: -2.033 -2.632 -0.648
C: -3.100 -3.226 -1.294
C: -4.347 -2.610 -1.348
C: -5.505 -3.239 -2.045
C: -4.480 -1.372 -0.728
S: -6.081 -0.548 -0.775
O: -7.033 -1.413 -0.130
O: -6.342 -0.163 -2.133
N: -5.797 0.823 0.131
C: -6.072 0.691 1.548
C: -7.543 0.949 1.869
C: -7.967 2.309 1.321
C: -7.687 2.369 -0.179
C: -6.208 2.088 -0.440
C: -3.424 -0.755 -0.091
S: 1.650 -0.672 1.665
C: 2.748 0.405 0.692
N: 3.882 0.052 0.270
C: 4.427 -1.219 0.348
C: 3.772 -2.312 -0.216
C: 4.365 -3.559 -0.217
C: 5.619 -3.746 0.346
C: 6.268 -5.096 0.369
C: 6.262 -2.649 0.907
C: 5.695 -1.387 0.916
C: 6.399 -0.238 1.574
H: 7.394 0.798 -2.747
H: 6.765 0.958 -1.089
H: 5.647 0.978 -2.480
H: 6.496 4.479 -1.541
H: 6.262 3.175 -0.348
H: 4.438 3.271 -2.754
H: 4.153 4.452 -1.460
H: 4.248 1.575 -0.757
H: -0.726 2.949 1.497
H: 0.641 3.740 0.664
H: 0.266 0.822 2.934
H: -0.225 -1.384 0.567
H: -1.075 -3.131 -0.614
H: -2.964 -4.188 -1.766
H: -5.893 -2.557 -2.799
H: -6.312 -3.416 -1.336
H: -5.219 -4.178 -2.513
H: -5.791 -0.322 1.837
H: -5.430 1.403 2.079
H: -7.694 0.906 2.949
H: -8.136 0.161 1.403
H: -9.029 2.476 1.512
H: -7.405 3.099 1.827
H: -7.951 3.348 -0.583
H: -8.277 1.609 -0.695
H: -6.008 2.029 -1.509
H: -5.583 2.871 0.003
H: -3.565 0.211 0.361
H: 2.805 -2.165 -0.674
H: 3.845 -4.394 -0.664
H: 5.759 -5.784 -0.301
H: 7.313 -5.026 0.073
+++
== Request ==
Reproduce only the last part of the listing above, starting with the line that has "-0.8621 2.2044".
== Reply ==
H -0.8621 2.2044 0.8434
H -2.5411 2.8998 -0.5201
H -2.0531 4.2882 -0.6446
*
```

Summary:
Kohn-Sham gap: 10.984 eV
F_max: 0.063 hartree/bohr

----------

ORCA calculation (ωB97M-V/def2-TZVPD) on one molecule with the formula C5H8O.

Properties
**ΔE to the lowest compared entry with this formula, charge and spin**: 2.4423 eV
**Energy**: -270.4681 a.u.
**Net charge**: 0
**Highest occupied orbital energy**: -9.91 eV
**Frontier orbital gap**: 10.9 eV
**Structure (SMILES)**: C#C[C@@H](C)CO

Atoms and positions in Å:
C: -0.150 -2.353 -0.849
C: -0.250 -1.244 -0.391
C: -0.127 0.217 -0.297
C: -1.418 0.979 0.005
C: 1.063 0.649 0.590
O: 2.116 -0.282 0.627
H: 0.007 -3.241 -1.413
H: 0.146 0.447 -1.332
H: -1.656 1.007 1.074
H: -2.262 0.524 -0.522
H: -1.314 2.009 -0.349
H: 1.484 1.560 0.156
H: 0.710 0.894 1.604
H: 1.747 -1.129 0.915

***

ORCA calculation (ωB97M-V/def2-TZVPD) on one molecule with the formula C2H5NO4.

Properties
**ΔE to the lowest compared entry with this formula, charge and spin**: 4.7990 eV
**Energy**: -434.8178 a.u.
**Net charge**: 0
**Highest occupied orbital energy**: -10.85 eV
**Frontier orbital gap**: 11.1 eV
**Structure (SMILES)**: CC(O)(O)[N+](=O)[O-]

Atoms and positions in Å:
C: 0.167 -0.620 -0.055
C: -0.988 0.334 0.325
O: -1.288 1.272 -0.525
O: -0.792 0.960 1.574
N: -2.208 -0.689 0.515
O: -2.156 -1.396 1.438
O: -3.106 -0.594 -0.314
H: 1.105 -0.041 -0.218
H: 0.454 -1.278 0.707
H: 0.109 -1.308 -0.913
H: -2.111 0.903 -1.066
H: -0.522 0.277 2.240

***

ORCA calculation (ωB97M-V/def2-TZVPD) on one molecule with the formula C29H37N5O5S2.

Properties
**ΔE to the lowest compared entry with this formula, charge and spin**: 0.1859 eV
**Energy**: -2573.6900 a.u.
**Net charge**: 0
**Highest occupied orbital energy**: -8.19 eV
**Frontier orbital gap**: 8.4 eV
**Structure (SMILES)**: COCCNC(=O)C1=C(N)[C@@H](C(=O)Nc2ccc(C)c(S(=O)(=O)N3CCCCC3)c2)S/C1=N\c1ccc(C)cc1C

Atoms and positions in Å:
C: 6.639 1.281 -2.128
O: 6.850 2.667 -2.265
C: 6.095 3.474 -1.394
C: 4.586 3.475 -1.687
N: 3.873 2.511 -0.885
C: 2.739 2.804 -0.232
O: 2.193 3.907 -0.292
C: 2.154 1.697 0.550
C: 0.942 1.854 1.180
N: 0.248 2.984 1.230
C: 0.401 0.627 1.865
C: -0.992 0.327 1.281
O: -1.878 1.142 1.447
N: -1.076 -0.827 0.599
C: -2.187 -1.388 -0.041
C: -2.033 -2.632 -0.648
C: -3.100 -3.226 -1.294
C: -4.347 -2.610 -1.348
C: -5.505 -3.239 -2.045
C: -4.480 -1.372 -0.728
S: -6.081 -0.548 -0.775
O: -7.033 -1.413 -0.130
O: -6.342 -0.163 -2.133
N: -5.797 0.823 0.131
C: -6.072 0.691 1.548
C: -7.543 0.949 1.869
C: -7.967 2.309 1.321
C: -7.687 2.369 -0.179
C: -6.208 2.088 -0.440
C: -3.424 -0.755 -0.091
S: 1.650 -0.672 1.665
C: 2.748 0.405 0.692
N: 3.882 0.052 0.270
C: 4.427 -1.219 0.348
C: 3.772 -2.312 -0.216
C: 4.365 -3.559 -0.217
C: 5.619 -3.746 0.346
C: 6.268 -5.096 0.369
C: 6.262 -2.649 0.907
C: 5.695 -1.387 0.916
C: 6.399 -0.238 1.574
H: 7.394 0.798 -2.747
H: 6.765 0.958 -1.089
H: 5.647 0.978 -2.480
H: 6.496 4.479 -1.541
H: 6.262 3.175 -0.348
H: 4.438 3.271 -2.754
H: 4.153 4.452 -1.460
H: 4.248 1.575 -0.757
H: -0.726 2.949 1.497
H: 0.641 3.740 0.664
H: 0.266 0.822 2.934
H: -0.225 -1.384 0.567
H: -1.075 -3.131 -0.614
H: -2.964 -4.188 -1.766
H: -5.893 -2.557 -2.799
H: -6.312 -3.416 -1.336
H: -5.219 -4.178 -2.513
H: -5.791 -0.322 1.837
H: -5.430 1.403 2.079
H: -7.694 0.906 2.949
H: -8.136 0.161 1.403
H: -9.029 2.476 1.512
H: -7.405 3.099 1.827
H: -7.951 3.348 -0.583
H: -8.277 1.609 -0.695
H: -6.008 2.029 -1.509
H: -5.583 2.871 0.003
H: -3.565 0.211 0.361
H: 2.805 -2.165 -0.674
H: 3.845 -4.394 -0.664
H: 5.759 -5.784 -0.301
H: 7.313 -5.026 0.073